Dermatological Surgery

Cheek Augmentation

Cheek augmentation is a cosmetic surgical procedure aimed intended to give a person more pronounced cheeks. There are two ways the cheek may be augmented: by placing a solid implant over the cheekbone, and by injecting fat or hyaluronic acid on the cheeks. Cheek augmentation is commonly combined with other surgical procedures, such as midface lift and browlift, to better enhance a person’s profile.

Eyelid Surgery (Blepharoplasty)

The eyes are perhaps the most attractive feature of the face. We naturally focus on it when we look at a person’s face, and we use it to judge his or her youth and vigor. The eyelids, although seemingly a small part, can greatly affect how the eyes look. Excess skin and fat on the eyelids can lend an aged and tired expression to a person’s face. Blepharoplasty is the procedure performed to lift up the eyelids and lend a more youthful appearance to a person’s face.

## Attached: molecular data
-- begin --
Entry 1:
The following is a quantum chemistry calculation of the molecule C3H7NO2 at a distorted geometry, from OMol25.

Computed properties:
frontier orbital gap	10.73	eV
SMILES string	NC(=O)CCO
electronic energy	-323.75052	hartree
spin multiplicity	1
LUMO	0.028	hartree

Each line ends with the natural charge from an NBO analysis.
Atoms and positions in Å:
C: 0.646 0.375 0.157  -0.525
C: -0.176 -0.545 1.057  -0.052
O: 0.779 -1.257 1.852  -0.737
C: -0.244 1.118 -0.823  0.677
N: -0.502 0.364 -1.952  -0.839
O: -0.725 2.216 -0.679  -0.594
H: 1.367 -0.271 -0.370  0.218
H: 1.299 1.056 0.705  0.247
H: -0.796 0.012 1.769  0.175
H: -0.835 -1.282 0.560  0.166
H: 0.360 -1.893 2.443  0.473
H: -1.018 0.690 -2.757  0.406
H: -0.155 -0.583 -1.962  0.384

---

Entry 2:
The following is a quantum chemistry calculation of a structure of composition C51H40Cl3N5O3P2Ti at a distorted geometry, from OMol25.

Computed properties:
frontier orbital gap	6.86	eV
electronic energy	-5379.44901	hartree
net charge	+2
spin multiplicity	1
LUMO	-0.236	hartree

Each line ends with the Löwdin charge.
Atoms and positions in Å:
Ti: 1.007 -0.609 -0.295  1.008
Cl: -3.217 -6.089 -2.185  0.739
C: -2.004 -5.016 -1.610  -0.657
C: -1.342 -5.296 -0.408  -0.047
C: -0.386 -4.436 0.076  0.017
C: -0.075 -3.245 -0.594  -0.331
O: 0.837 -2.429 -0.104  -0.242
C: -0.729 -2.984 -1.829  -0.141
C: -0.200 -1.965 -2.666  0.009
N: 0.643 -1.071 -2.240  -0.020
C: 1.661 -0.641 -3.130  -0.205
C: 1.536 -0.264 -4.437  0.011
C: 2.690 -0.076 -5.225  -0.021
C: 3.935 -0.334 -4.725  0.003
C: 4.093 -0.741 -3.381  -0.164
C: 5.332 -1.055 -2.784  0.009
C: 5.371 -1.410 -1.463  -0.017
C: 4.182 -1.430 -0.720  -0.073
N: 3.005 -1.155 -1.240  0.062
C: 2.947 -0.833 -2.565  -0.161
C: -1.682 -3.891 -2.323  -0.042
H: -1.579 -6.205 0.128  0.125
H: 0.141 -4.663 0.994  0.129
H: -0.355 -2.067 -3.740  0.162
H: 0.555 -0.112 -4.870  0.119
H: 2.574 0.246 -6.251  0.123
H: 4.813 -0.225 -5.348  0.130
H: 6.238 -1.009 -3.375  0.137
H: 6.302 -1.666 -0.979  0.123
H: 4.205 -1.702 0.327  0.103
H: -2.173 -3.691 -3.268  0.132
N: -1.935 0.558 0.353  -0.346
P: -1.430 -0.914 1.004  1.010
C: -2.897 -1.963 0.643  -0.307
C: -3.428 -2.850 1.582  -0.070
C: -4.590 -3.551 1.301  -0.051
C: -5.244 -3.371 0.091  -0.055
C: -4.720 -2.500 -0.851  -0.059
C: -3.544 -1.818 -0.583  -0.116
C: -1.582 -0.915 2.822  -0.390
C: -2.431 -0.060 3.512  -0.095
C: -2.482 -0.103 4.897  -0.050
C: -1.704 -1.014 5.600  -0.049
C: -0.900 -1.912 4.914  -0.052
C: -0.841 -1.864 3.529  -0.132
P: -0.811 1.210 -0.775  1.022
C: -1.727 1.262 -2.359  -0.339
C: -3.080 0.927 -2.421  -0.120
C: -3.796 1.096 -3.597  -0.053
C: -3.171 1.605 -4.726  -0.052
C: -1.826 1.939 -4.673  -0.055
C: -1.104 1.771 -3.501  -0.088
C: -0.872 2.998 -0.340  -0.292
C: 0.156 3.651 0.332  -0.128
C: 0.049 4.994 0.658  -0.072
C: -1.094 5.701 0.325  -0.051
C: -2.134 5.057 -0.329  -0.051
C: -2.025 3.718 -0.663  -0.070
H: -2.867 0.928 0.496  0.085
H: -2.953 -2.980 2.545  0.102
H: -4.999 -4.225 2.042  0.117
-- stop --

Facelift (Rhytidectomy)

The face is often the part of the body that shows the earliest signs aging. A person’s lifestyle, various activities and natural processes can all contribute into making the face look old and tired. In order to look younger and be more attractive, a lot of people undergo facelift surgery. The procedure, which adjusts the facial tissues and overlying skin, is one of today’s best methods to reverse signs of aging and give people a rejuvenated appearance.

Facial Fat Grafting

Facial fat transfer is the procedure of removing fat from other parts of the body and transferring it to key locations on the face to reduce facial signs of aging. It is most commonly used to fill in deep facial lines, nasolabial folds, and sunken eyes. It is minimally invasive and can be performed in conjunction with other cosmetic procedure, such as facelift and other types of facial cosmetic surgeries.

Facial Implants

Facial implants are non-resorbable, biocompatible materials that are surgically placed beneath the skin to enhance or augment the physical structure of the face. Facial implants can be of various types and sizes; they are typically placed on the cheek, chin and jaw. Implants improve a person’s appearance by adding volume to a drawn or weak area, and making the face more symmetrical.

Jaw Augmentation

Jaw augmentation, also known as mandibular augmentation, is the procedure of using either synthetic implants or injectable fillers to improve the structure of the jawline and make the face more prominent. The procedure can improve the balance and symmetry of the face, as well as provide it with an attractive frame. 

Jaw Reduction Surgery

A square jaw gives off a heavyset, masculine look that normally doesn’t suit a woman’s face. Women who don’t like having square, angular jaw can have it reduced by either of two ways: using Botox or through surgical jaw contouring. Botox can be injected to decrease the size of the muscles around the jaw (called the masseter muscle), while surgical contouring shaves off the jawbone to reduce its size and give it a more attractive shape.


The midface lift is a procedure performed to tighten the skin and muscles in the cheekbone area to improve its appearance. The full results of the procedure also include the removal of sagging cheeks and general improvement of the area around the lower eyelid, resulting in a younger, more attractive appearance. Being a relatively recent procedure, its procedure and technology still continue to evolve. It is an alternative to the traditional and more drastic full facelift.

Nose Surgery (Rhinoplasty)

Rhinoplasty or nose reshaping is a type of surgery performed to improve or correct the shape of the nose. Because it can dramatically enhance the attractiveness of the face, nose reshaping is one of the most popular types of cosmetic surgery, with thousands of men and women undergoing the procedure every year. Rhinoplasty is also commonly performed to correct impaired breathing caused by an injury or natural deformity.